Life of a Writer: #11. Prologue to a Mystery

Someone pasted materials data at this point:
/*
Computed, not measured: TiPt3Pb2O12 after structural relaxation at the GGA-PBE level of DFT.

Cell lengths 7.297, 7.297, 7.297 Å; angles 59.11, 59.11, 59.11 degrees
Positions (direct):
Ti: 0.000 0.000 0.000
Pt: 0.500 0.000 0.000
Pt: 0.000 0.500 0.000
Pt: 0.000 0.000 0.500
Pb: 0.694 0.694 0.694
Pb: 0.306 0.306 0.306
O: 0.333 0.333 0.944
O: 0.931 0.931 0.319
O: 0.319 0.931 0.931
O: 0.944 0.333 0.333
O: 0.931 0.319 0.931
O: 0.333 0.944 0.333
O: 0.667 0.667 0.056
O: 0.069 0.069 0.681
O: 0.681 0.069 0.069
O: 0.056 0.667 0.667
O: 0.069 0.681 0.069
O: 0.667 0.056 0.667
*/

After a reading at the Rowers' Pub Reading Series (November 5, 2012) in Toronto where I read the first chapter of the mystery I am working on, Todd Swift (who also read that evening) suggested I include a prologue before the first chapter. He thought I needed something to foreshadow the events that would occur after the first few chapters. Since I agreed with this suggestion, I proceeded to write a prologue (see below). A similar sequence occurs at some point into the mystery, except at that juncture the names of the characters are used. I also asked a colleague from my writing group (Moosemeat Writers Group) to look over the prologue (Isabel Matwawana) and make suggestions. Since her comments were all helpful, I looked over the areas she alluded to and edited further.

Todd Swift also felt the title (I had particularly asked for feedback on this from the audience at Rowers before I read), The White Ribbon, ought not to be used as such as there is a famous film of the same title. When he learned about the white ribbon campaign of men against violence against women, he suggested some variation. At the moment, I am calling it simply White Ribbon.

 As you can see, feedback is valuable/invaluable to a writer. I appreciate any comments anyone might care to make!

== Someone pasted records of crystals at this point ==
********
4
Lattice="1.856 0.000 5.004 -0.928 1.607 5.004 -0.928 -1.607 5.004" Properties=species:S:1:pos:R:3 comment="BeFeO2 (PBE+U, optimized geometry)" sg="R-3m (166)" e_tot_ev_per_fu=-26.19 crystal_system=trigonal mass_density_g_cm3=3.59 pbc="T T T"
Fe 0.000 0.000 7.506
Be 0.000 0.000 0.000
O 0.000 0.000 13.584
O 0.000 0.000 1.428

* * * * *

Entry 1:
# PBE K3Rb2Zn2Au4, optimized geometry
data_K3Rb2Zn2Au4
_chemical_formula_sum 'K6 Rb4 Zn4 Au8'
_space_group_name_H-M_alt 'I 4/m m m'
_space_group_IT_number 139
_space_group_name_Hall '-I 4 2'
_cell_length_a 5.2804
_cell_length_b 5.2804
_cell_length_c 26.9115
_cell_angle_alpha 90.00
_cell_angle_beta 90.00
_cell_angle_gamma 90.00
loop_
_atom_site_label
_atom_site_fract_x
_atom_site_fract_y
_atom_site_fract_z
K1 0.0000 0.0000 0.0000
K2 0.0000 0.0000 0.1454
Rb1 0.0000 0.0000 0.3209
Zn1 0.0000 0.0000 0.4482
Au1 0.0000 0.5000 0.0762
# - Formation enthalpy at 0 K: -1.5 eV/f.u.


Entry 2:
# PBE HWN2, optimized geometry
data_HWN2
_chemical_formula_sum 'H4 W4 N8'
_space_group_name_H-M_alt 'I -4 2 d'
_space_group_IT_number 122
_space_group_name_Hall 'I -4 2bw'
_cell_length_a 4.3439
_cell_length_b 4.3439
_cell_length_c 8.7591
_cell_angle_alpha 90.00
_cell_angle_beta 90.00
_cell_angle_gamma 90.00
loop_
_atom_site_label
_atom_site_fract_x
_atom_site_fract_y
_atom_site_fract_z
H1 0.0000 0.0000 0.0000
W1 0.0000 0.0000 0.5000
N1 0.2360 0.2500 0.1250
# - Polymorph energy (0 for the lowest one): 643 meV per atom


Entry 3:
# PBE MgCuTc2, optimized geometry
data_MgCuTc2
_chemical_formula_sum 'Mg2 Cu2 Tc4'
_space_group_name_H-M_alt 'C m m m'
_space_group_IT_number 65
_space_group_name_Hall '-C 2 2'
_cell_length_a 3.3632
_cell_length_b 3.9913
_cell_length_c 8.7116
_cell_angle_alpha 90.00
_cell_angle_beta 90.00
_cell_angle_gamma 90.00
loop_
_atom_site_label
_atom_site_fract_x
_atom_site_fract_y
_atom_site_fract_z
Mg1 0.0000 0.0000 0.0000
Cu1 0.0000 0.0000 0.5000
Tc1 0.0000 0.5000 0.2632
# - Formation enthalpy at 0 K: 1.1 eV/f.u.


Entry 4:
# PBE Zn2SnP, optimized geometry
data_Zn2SnP
_chemical_formula_sum 'Zn8 Sn4 P4'
_space_group_name_H-M_alt 'I -4 2 d'
_space_group_IT_number 122
_space_group_name_Hall 'I -4 2bw'
_cell_length_a 6.3129
_cell_length_b 6.3129
_cell_length_c 9.5853
_cell_angle_alpha 90.00
_cell_angle_beta 90.00
_cell_angle_gamma 90.00
loop_
_atom_site_label
_atom_site_fract_x
_atom_site_fract_y
_atom_site_fract_z
Zn1 0.1882 0.2500 0.1250
Sn1 0.0000 0.0000 0.5000
P1 0.0000 0.0000 0.0000
# - Formation enthalpy at 0 K: 0.5 eV/f.u.


Number 1: VASP energy -44.86 eV per cell. Number 2: VASP energy -123.62 eV per cell. Number 3: VASP energy -50.66 eV per cell. Number 4: VASP energy -45.91 eV per cell.

* * * * *

No. 1
VASP calculation (PBE) on an optimized crystal structure of Pr8NdTm6.

Cell: 9.945 9.945 5.971 Å, 90.00 90.00 120.00°
Sites, in units of the cell vectors:
Pr1 0.053 0.775 0.224
Pr2 0.225 0.278 0.224
Pr3 0.278 0.053 0.776
Pr4 0.333 0.667 0.222
Pr5 0.667 0.333 0.778
Pr6 0.722 0.947 0.224
********




White Ribbon


Mid November

# Misplaced records of crystals
<<<
No. 1
The following is a PBE calculation of crystalline Ti12AlIn6 at its relaxed geometry, from the Alexandria database.

Results
Density: 6.0 g cm⁻³
Formation energy: -0.022 eV per atom
Magnetization: 0.03 Bohr magnetons per cell
Space-group type: R-3

The structure in CIF format:
```
data_Ti12AlIn6
_cell_length_a 7.091
_cell_length_b 7.091
_cell_length_c 7.091
_cell_angle_alpha 91.35
_cell_angle_beta 91.35
_cell_angle_gamma 91.35
_symmetry_space_group_name_H-M 'P 1'
_symmetry_Int_Tables_number 1
loop_
_symmetry_equiv_pos_as_xyz
'x,y,z'
loop_
_atom_site_label
_atom_site_fract_x
_atom_site_fract_y
_atom_site_fract_z
Ti1 0.031 0.955 0.291
Ti2 0.045 0.709 0.969
Ti3 0.126 0.431 0.353
Ti4 0.291 0.031 0.955
Ti5 0.353 0.126 0.431
Ti6 0.431 0.353 0.126
Ti7 0.569 0.647 0.874
Ti8 0.647 0.874 0.569
Ti9 0.709 0.969 0.045
Ti10 0.874 0.569 0.647
Ti11 0.955 0.291 0.031
Ti12 0.969 0.045 0.709
Al1 0.500 0.500 0.500
In1 0.218 0.377 0.756
In2 0.244 0.782 0.623
In3 0.377 0.756 0.218
In4 0.623 0.244 0.782
In5 0.756 0.218 0.377
In6 0.782 0.623 0.244
```

No. 2
The following is a PBE calculation of crystalline Dy2TmCd3 at its relaxed geometry, from the Alexandria database.

Results
Density: 8.9 g cm⁻³
Formation energy: -0.316 eV per atom
Magnetization: 0.00 Bohr magnetons per cell
Space-group type: P4/mmm

The structure in CIF format:
```
data_Dy2TmCd3
_cell_length_a 3.728
_cell_length_b 3.728
_cell_length_c 11.180
_cell_angle_alpha 90.00
_cell_angle_beta 90.00
_cell_angle_gamma 90.00
_symmetry_space_group_name_H-M 'P 1'
_symmetry_Int_Tables_number 1
loop_
_symmetry_equiv_pos_as_xyz
'x,y,z'
loop_
_atom_site_label
_atom_site_fract_x
_atom_site_fract_y
_atom_site_fract_z
Dy1 0.000 0.000 0.168
Dy2 0.000 0.000 0.832
Tm1 0.000 0.000 0.500
Cd1 0.500 0.500 0.000
Cd2 0.500 0.500 0.337
Cd3 0.500 0.500 0.663
```

No. 3
The following is a PBE calculation of crystalline Tl2ReW at its relaxed geometry, from the Alexandria database.

Results
Energy relative to the lowest polymorph listed for this composition: 646 meV/atom
Density: 16.8 g cm⁻³
Formation energy: 1.187 eV per atom
Magnetization: 0.02 Bohr magnetons per cell
Space-group type: Immm

The structure in CIF format:
```
data_Tl2ReW
_cell_length_a 5.738
_cell_length_b 5.738
_cell_length_c 5.738
_cell_angle_alpha 149.22
_cell_angle_beta 126.37
_cell_angle_gamma 63.12
_symmetry_space_group_name_H-M 'P 1'
_symmetry_Int_Tables_number 1
loop_
_symmetry_equiv_pos_as_xyz
'x,y,z'
loop_
_atom_site_label
_atom_site_fract_x
_atom_site_fract_y
_atom_site_fract_z
Tl1 0.245 0.245 0.000
>>>

The coordinator for this particular Sunday at a church in downtown Toronto had started to greet the people, but the service had not yet begun. At the sound of a scream in the distance, she stopped and looked around.  Although they had started many services with many kinds of distractions, she appeared unable to continue.
            After what seemed a long time, but was really only a few seconds, one of the parishioners jumped up and started across the wooden floor. He was followed by a woman, who was heavier and slower than he was. The minister was not far behind. They headed toward a staircase down into the basement where there was a washroom for women and, a little further along the corridor, one for men. Small washrooms, each with two cubicles. Between them in the hall was a water fountain. The stairs were of the same heavy wood that extended throughout the church, but the floor in the basement was tiled. The sound had stopped, but just as the male parishioner came down into the hall, a woman emerged from the women’s washroom.
            “On the floor,” she said in a quavering voice. “Feet… sticking out.” She was visibly shaken, her face contorted with horror at whatever she had seen.
Posted on November 9, 2012 .